Integrating Geological Information in City Management to Prevent
Environmental Risks― GeoInforM ― LIFE06 TCY/ROS/000267
Study tour of Russian experts to Hamburg
1-5 July, 2007
Originally the study tour was planned for 10 to 14 September, 2007. However, at the 1st Steering Committee Meeting it was proposed to organize it as early as in July.
In accordance with GeoInforM tasks the study visit was organized in order to get acquainted with the experience of storage and processing of geological information in the city environment of Hamburg(Task 5), and of its utilization in city management decisions (Task 2).
Four representatives of the Committee for Nature Use, Environmental Protection and Ecological Safety (Beneficiary) and one representative of Mineral company (Partner 4) took part in the study tour.
- Ivan A. SEREBRITSKY, Head of Department for the State Regulation in the Field of Nature Use and Environmental Protection, Committee for Nature Use, Environmental Protection and Ecological Safety
- Marina A. KOROBEINIKOVA, Head, the Division for International Cooperation and Environmental Education, Committee for Nature Use, Environmental Protection and Ecological Safety
**These molecular data were left in the article by mistake**
DFT (ωB97M-V/def2-TZVPD) results for a structure of composition C5H8O2.

```
15
C5H8O2 ωB97M-V/def2-TZVPD
O -0.843 0.939 0.797
C -1.381 -0.225 0.160
C -0.065 -1.000 -0.053
C 0.803 -0.677 1.211
C 0.808 0.732 0.578
O 1.092 1.956 0.859
C 0.759 0.064 -0.805
H -0.273 1.950 0.602
H -2.081 -0.696 0.856
H -1.892 0.007 -0.782
H -0.151 -2.022 -0.425
H 0.362 -0.786 2.205
H 1.778 -1.167 1.153
H 0.293 0.607 -1.635
H 1.758 -0.284 -1.081
```

Computed properties:
- Calculated total energy: -9406.047 eV
- HOMO-LUMO gap: 10.24 eV
- 2S+1: 1

natural (NBO) population analysis, charges in e, atoms 1 to 6:
1. O -0.666
2. C -0.058
3. C -0.236
4. C -0.462
5. C 0.605
6. O -0.751


DFT (ωB97M-V/def2-TZVPD) results for an isolated molecule of C2H2F3NO.

```
9
C2H2F3NO ωB97M-V/def2-TZVPD
O 2.019 -0.116 0.911
N 1.517 -1.018 0.364
C 0.222 -0.787 -0.336
F -0.163 -2.038 -0.811
C -0.881 -0.163 0.490
F -1.360 -1.038 1.361
F -1.861 0.256 -0.262
H 0.573 -0.176 -1.120
H -0.304 0.714 0.891
```

Computed properties:
- SMILES: O=N[C@@H](F)C(F)F
- Calculated total energy: -13793.328 eV
- HOMO-LUMO gap: 9.21 eV
- 2S+1: 1

natural (NBO) population analysis, charges in e, atoms 1 to 6:
1. O -0.245
2. N 0.164
3. C 0.171
4. F -0.328
5. C 0.538
6. F -0.309


no.,strongest force on any atom (eV Å⁻¹)
1,0.3
2,3.3

* * * * *

Entry 1:
Entry from the OMol25 dataset: a structure of composition C14H21IrN3S4Se (ωB97M-V/def2-TZVPD).

ORCA input file:
```
! RIJCOSX wB97M-V def2-TZVPD def2/J DEFGRID3
* xyz 2 2
Ir -0.0205 -0.4338 0.2754
C 1.6096 0.2625 3.0539
C 0.2092 0.7805 3.3289
S -0.9194 -0.2799 2.3863
C -2.3902 0.7353 2.1206
C -3.1965 -0.0071 1.0576
S -2.2501 -0.4905 -0.4431
C -2.4014 1.0247 -1.4509
C -1.6619 2.2523 -0.9246
S 0.0882 1.7946 -0.8058
C 0.8688 2.7461 0.5211
C 2.1577 1.9971 0.8670
S 2.0129 0.2085 1.2830
H 1.7135 -0.7748 3.3798
H 2.3721 0.8421 3.5735
H 0.0685 1.8164 3.0327
H -0.0264 0.6916 4.3897
H -2.0735 1.7281 1.8125
H -2.9682 0.8186 3.0416
H -4.0591 0.5722 0.7296
H -3.5708 -0.9512 1.4552
H -3.4662 1.2307 -1.5628
H -2.0229 0.7346 -2.4330
H -2.0313 2.5979 0.0370
H -1.7715 3.0651 -1.6425
H 0.1808 2.8333 1.3572
H 1.1237 3.7493 0.1782
H 2.6752 2.4709 1.7017
H 2.8441 2.0176 0.0194
C 0.0315 -2.5205 0.5025
H -0.7122 -2.9626 1.1597
H 1.0321 -2.6832 0.9091
Se -0.2776 -5.2612 -2.1935
N 0.7099 -4.2892 -3.2104
C 1.0734 -3.0607 -2.9379
C 1.8931 -2.3239 -3.8414
C 2.2967 -1.0681 -3.5103
C 1.8658 -0.5031 -2.2872
N 1.1015 -1.1123 -1.4146
C 0.6869 -2.4409 -1.6891
N -0.0621 -3.0445 -0.8359
H 2.1734 -2.7920 -4.7761
H 2.9216 -0.4798 -4.1651
H 2.1717 0.5091 -2.0494
*
```

Computed properties:
- electronic energy (eV) = -130840.6702
- E_LUMO (spin up / spin down) (eV) = -7.09 / -6.94
- <S²> = 0.790
- ΔE to the lowest compared entry with this formula, charge and spin (eV) = 0.000
- orbital gap (spin up / spin down) (eV) = 6.27 / 6.62
- strongest force on any atom (eV/A) = 0.98
- HOMO (spin up / spin down) (eV) = -13.36 / -13.56

=====

Entry 2:
3. Alexey P. VISHNYAKOV, Chief expert, Division for the State Regulation in the Field of Environmental Protection
4. Liubov B. BOROVITSKAYA, Leading expert, Sector of Sustainable Use and Protection of Mineral Resources
5. Igor V. BOGATYREV, Deputy Director, “Mineral” state unitary company
The following Hamburg experts were participating in the meetings:
- Mr. Dirk Spengler, coordinator o the Project from Hamburg side
- Dr. Renate Taugs, Head of the Geological Survey of Hamburg
- Dr. Jürgen Ehlers, Head of the geological surveying and mapping
- Dipl. Geol. Giesela Kersting, geological data, geological surveying and mapping
- Dipl. Geol. Ingolf Stüven, Geoinformationsystem, geological surveying and mapping
- Dipl. Min. Jens Kröger, Hydrogeology, geological 3D Modelling
- Dipl. Hydr. Lothar Moosmann, Hydrogeology, Groundwatermodelling
The experts of the company FUGRO, Berlin
1.Donat, Jörg
2.Donat, Elena
3.Remus, Wolfgang
July 1, Sunday
arrival of the Russian experts, meeting the Hamburg team
July 2, Monday
Meetings at the State Ministry for Urban Development and Environment; main topics:
-borehole data and geological GIS mapping database structures,
-transformation of borehole data
July 3, Tuesday
Meeting at FUGRO Consult GmbH, Berlin, a company which is commissioned by the Hamburg Ministry to develop and maintain the geological database.
July 4, Wednesday
Meetings at the State Ministry for Urban Development and Environment; main topics:
-training course: transformation of borehole data
-3D-geological modelling, integration of geological cross-sections to 3D-Models
-groundwater modelling in Hamburg
July 5, Thursday
Departure of Russian experts to St. Petersburg
During the visit the Geological Service of Hamburg organized workshops and meetings with experts on the following subjects:
1. Techniques for collection and storage of data provided by drilling engineering and geological wells and boreholes.
Since long time ago the Geological Service of Hamburg has established and used the procedure for collection and storage of data from engineering and geological boreholes. Main stages of the procedure are as follows:
- getting data from companies, which drill the boreholes. The information comes as drill logs having a standard form (the State standard of data logging), as well as the samples of rock from all lithological layers;
- authenticity check of geological description in comparison with the rock samples. The check is made by the Geological Service. If necessary, the description is updated;
- introduction of geological description into the database. For that a specialized software is used, which makes the digital coding using the dictionary unified for all Germany;
- the information is stored using the database management system Oracle.
At present the database contains the description of more than 23000 boreholes, the oldest of them date back to the end of XIX century.
The Geological Service performs a regular modernization of the borehole description matrix to meet the requirements of new tasks to be solved and to adapt it to new methodological and technical solutions. In view of this, the retrospective information is transferred into new storage formats.
The description of geological strata uses the formalized language of formulas, which enables to give a flexible description of the core rock characteristics, including the intermediate layers.
Beside the formalized descriptions the database stores the scanned paper originals.
The 1:500 scale maps are used for the spatial links of the data.
2. Structure of the database on engineering and geological boreholes.
Here the text breaks off for calculated molecules
********
[1]
********
The following principles underlie the concept of the database on engineering and geological boreholes.
Main components of the borehole description stored in the database are the masthead data and layer-by-layer description (profile) of the borehole well.
The masthead block contains the general data on the borehole: ID (archive) number, coordinates of the collar and absolute altitude mark, depth, groundwater level, date of drilling, customer company, ownership, conditions of operation, etc.
The profile (layer-by-layer) description includes the archive number of the borehole, depth, thickness and geological characteristics (stratigraphy, petrography, genesis, color, etc.) of each stratigraphic layer.
Data of both blocks are arranged as tables having the archive number as the key. There is a possibility for storing several versions of layer-by-layer descriptions (profiles); each of them can contain the information of different types (data on the borehole structure, geological field description, post-interpretation geological description, etc.).
3. Access to the borehole data and their visualization.
Users’ access to the borehole data kept in the database is arranged in the two following ways.
Main way – access within the local net of the Geological Service. It is provided for the staff workers of the Geological Service. The access instrument is the ArcGLA – dedicated extension module for the desktop GIS of the end-user of ArcView 3.2, which has the function of data selection and analysis. Borehole search system can use one of the criteria: borehole number, address, coordinates, number of map sheet of scale 1:500. The borehole collar is shown on the map; the raster topographic layer, vector layers of geological map or of the city infrastructure can be used as the substrate. The map can also show geological characteristics of individual geological layers in the boreholes.
If requested, the borehole of interest can be presented in different ways: text description (similar to the first archive entry about the rock), table or borehole log in any specified scale. The description is compiled using the information from the database in the online regime.
At present the Geological Service of Hamburg has developed and started the trial operation of the accesses to the borehole information using the Internet-oriented interface (Bohrdatenportal). This approach provides the access of a wider group of interested users. Internet-oriented interface provides practically the same functional opportunities, as the local net, taking into account authorization of different users’ groups.
In order to popularize the possibilities of using geological information on the city territory the generalized borehole data for the Hamburg territory has been published on the Google EarthMap portal.
4. Computer means for describing geological databases, instruments for its introduction and visualization.
Software package GeoDIN developed by the Fugro Consult GMBH is used for describing sources of geological information (boreholes, monitoring wells), as well as for establishing databases; and using them and for visualization and data analysis in the conventional form for the professionals in geology.
Means of data presentation enable to determine the structure of geological information, which characterizes a concrete object. The description includes matrices of tables with the essential inventory of parameters, dictionaries, standard search criteria and models of the information presentation forms (tables, diagrams, plots, geological logs).
Means of information input provide data introduction in accordance with the mentioned structure; they use appropriate dictionaries. Freely available Shuttle module is used for the data introduction, it enables to perform the distributed preparation of unprocessed data with their further incorporation into the integrated database.
The means for information visualization provide data search and selection from the base using diverse criteria, as well as their visualization as tables, diagrams, graphs and borehole logs. There are also means for interactive plotting of geological profiles using the log data.
The complex has a modular structure; it is available in different versions. In most versions the complex is used as a desktop system for a user; the MS Access is used as the basic database management system. There is also an option of customer-server architecture, which incorporates Oracle or MS SQL Server as the database management system
5. 3-D modelling of the geological medium
The Geological Service of Hamburg uses the 3-D modelling of the geological medium mostly for solving hydrogeological problems. GoCAD software product is used for the purpose. The 3-D model of geological environment has a layer-by-layer configuration. Its information base is the data on the borehole profile, geological cross-sections and geological maps of the territory. At the first stage the interpolation is performed by the method of triangulation of absolute marks of the stratigraphical horizon roof using the borehole data; this is later specified using cross-section lines and geological maps. The staged plotting of strata results in the unified 3-D model of the geological medium.
6. Groundwater flow modelling in Hamburg conditions.
In Hamburg the groundwater flow modeling is performed for the purposes of water supply from subsurface sources and for the modeling of groundwater pollution migration, in order to protect the water quality. MODFLOW Processing software product is used for the modelling. Its information base is the 3-D model of the geological medium complemented by hydrogeological characteristics (porosity, permeability, filtration coefficient, etc.). During the discussions examples were shown, which illustrated how the models were used for the evaluation of a possible salinization of groundwater at excessive water intake, also for the solution of a problem related to the groundwater protection from pollutants penetrating from old garbage landfills.
The discussion of mentioned aspects of geological information applications in Hamburg has resulted in acquiring useful experience and extensive materials, which can be applied when the Geological Service of St. Petersburg is established.